~~~
Run w
Computed, not measured: a relaxed structure of LiMnP2O7 at the PBE with a Hubbard U level of DFT.

Unit cell a=12.9531 b=5.1323 c=9.2340 alpha=59.50 beta=90.00 gamma=90.00
Fractional positions:
Li1 0.1738 0.0687 0.6427
Li2 0.8262 0.9313 0.3573
Li3 0.6738 0.9313 0.8573
Li4 0.3262 0.0687 0.1427
O1 0.6830 0.5271 0.8823
O2 0.7369 0.2961 0.6689
O3 0.3925 0.2573 0.5730
O4 0.8925 0.7427 0.9270
O5 0.2369 0.7039 0.8311
O6 0.4221 0.8085 0.8646
O7 0.0779 0.8085 0.3646
O8 0.0280 0.7212 0.7330
O9 0.2206 0.0450 0.4507
O10 0.7206 0.9550 0.0493
O11 0.2794 0.0450 0.9507
O12 0.9394 0.9479 0.1473
O13 0.4720 0.7212 0.2330
O14 0.2631 0.7039 0.3311
O15 0.8170 0.5271 0.3823
O16 0.5280 0.2788 0.7670
O17 0.1830 0.4729 0.6177
O18 0.3170 0.4729 0.1177
O19 0.7631 0.2961 0.1689
O20 0.4394 0.0521 0.3527
O21 0.5606 0.9479 0.6473
O22 0.6075 0.7427 0.4270
O23 0.5779 0.1915 0.1354
O24 0.9221 0.1915 0.6354
O25 0.1075 0.2573 0.0730
O26 0.7794 0.9550 0.5493
O27 0.0606 0.0521 0.8527
O28 0.9720 0.2788 0.2670
Mn1 0.1418 0.3766 0.8458
Mn2 0.3582 0.3766 0.3458
Mn3 0.6418 0.6234 0.6542
Mn4 0.8582 0.6234 0.1542
P1 0.4775 0.0884 0.7036
P2 0.6918 0.2359 0.0558
P3 0.0225 0.0884 0.2036
P4 0.1918 0.7641 0.4442
P5 0.5225 0.9116 0.2964
P6 0.8082 0.2359 0.5558
P7 0.9775 0.9116 0.7964
P8 0.3082 0.7641 0.9442



Run x
Computed, not measured: a relaxed structure of LiMnP2O7 at the PBE with a Hubbard U level of DFT.

Unit cell a=6.2183 b=7.2869 c=6.2969 alpha=68.96 beta=80.73 gamma=74.43
Fractional positions:
O1 0.3573 0.8631 0.0675
O2 0.2707 0.5350 0.3743
O3 0.3842 0.1692 0.6034
O4 0.7292 0.4650 0.6257
O5 0.0577 0.8656 0.3916
O6 0.6246 0.3290 0.2466
O7 0.0087 0.7538 0.0605
O8 0.9423 0.1345 0.6084
O9 0.2430 0.2746 0.2075
O10 0.9913 0.2462 0.9395
O11 0.3754 0.6710 0.7534
O12 0.7570 0.7255 0.7925
O13 0.6158 0.8307 0.3966
O14 0.6427 0.1368 0.9325
P1 0.8183 0.2400 0.7888
P2 0.3903 0.3067 0.3647
P3 0.1817 0.7600 0.2113
P4 0.6097 0.6933 0.6353
Mn1 0.9430 0.2157 0.2706
Mn2 0.0570 0.7843 0.7294
Li1 0.3333 0.1561 0.9117
Li2 0.6667 0.8438 0.0883



How far above the most stable structure does each one sit? In eV/atom: run w 0.000; run x 0.049.



Run w
Computed, not measured: a relaxed structure of LiMnP2O7 at the PBE with a Hubbard U level of DFT.

Computed properties:
Piezoelectric modulus e_max ... 0.664 C/m2

Unit cell a=5.2514 b=7.0268 c=8.1084 alpha=67.45 beta=91.00 gamma=94.93
Fractional positions:
O1 0.9724 0.0414 0.2337
O2 0.5908 0.0070 0.6871
O3 0.5647 0.5169 0.3264
O4 0.4271 0.4962 0.6829
O5 0.6729 0.8549 0.0179
O6 0.1548 0.3026 0.4757
O7 0.8136 0.7281 0.5191
O8 0.2649 0.3612 0.1574
O9 0.4546 0.0091 0.2968
O10 0.1327 0.6587 0.2163
O11 0.0522 0.9584 0.7951
O12 0.7528 0.6458 0.8437
O13 0.3035 0.1396 0.9819
O14 0.8708 0.3621 0.7556
P1 0.2524 0.1241 0.1735
P2 0.2775 0.4667 0.3036
P3 0.7170 0.5464 0.6936
P4 0.7654 0.8823 0.8293
Li1 0.7291 0.0583 0.4441
Li2 0.2942 0.8494 0.9897
Mn1 0.2116 0.2465 0.7306
Mn2 0.7743 0.7768 0.2679



Run x
Computed, not measured: a relaxed structure of LiMnP2O7 at the PBE with a Hubbard U level of DFT.

Unit cell a=9.7002 b=9.7432 c=11.1862 alpha=78.98 beta=89.51 gamma=89.55
Fractional positions:
P1 0.7090 0.8836 0.8860
P2 0.7918 0.3878 0.8889
P3 0.5611 0.0337 0.2390
P4 0.9303 0.9349 0.2425
P5 0.3403 0.3680 0.4180
P6 0.6422 0.6227 0.5718
P7 0.4452 0.9719 0.7535
P8 0.4261 0.5662 0.7590
P9 0.5692 0.4335 0.2421
P10 0.0772 0.0693 0.7578
P11 0.2124 0.6200 0.1170
P12 0.0544 0.4740 0.7557
P13 0.8554 0.1221 0.5783
P14 0.2880 0.1094 0.1159
P15 0.9403 0.5336 0.2425
P16 0.1547 0.8696 0.4213
O1 0.5909 0.8955 0.7846
O2 0.5594 0.8860 0.2027
O3 0.4201 0.4151 0.7303
O4 0.8494 0.9641 0.5757
O5 0.3417 0.8903 0.8432
O6 0.5610 0.7045 0.4649
O7 0.7857 0.6785 0.5865
O8 0.2005 0.3048 0.3994
O9 0.0662 0.7746 0.5194
O10 0.6720 0.3127 0.8407
O11 0.8371 0.6202 0.1533
O12 0.0879 0.9215 0.7309
O13 0.8585 0.2823 0.0013
O14 0.5792 0.5826 0.2712
O15 0.3478 0.2172 0.0029
O16 0.6487 0.4632 0.5703
O17 0.5635 0.6371 0.6966
O18 0.4080 0.0983 0.2170
O19 0.9323 0.2033 0.4686
~~~

Return only the last part of the notes earlier on, starting with the line that has "0.4507".

O9 0.2206 0.0450 0.4507
O10 0.7206 0.9550 0.0493
O11 0.2794 0.0450 0.9507
O12 0.9394 0.9479 0.1473
O13 0.4720 0.7212 0.2330
O14 0.2631 0.7039 0.3311
O15 0.8170 0.5271 0.3823
O16 0.5280 0.2788 0.7670
O17 0.1830 0.4729 0.6177
O18 0.3170 0.4729 0.1177
O19 0.7631 0.2961 0.1689
O20 0.4394 0.0521 0.3527
O21 0.5606 0.9479 0.6473
O22 0.6075 0.7427 0.4270
O23 0.5779 0.1915 0.1354
O24 0.9221 0.1915 0.6354
O25 0.1075 0.2573 0.0730
O26 0.7794 0.9550 0.5493
O27 0.0606 0.0521 0.8527
O28 0.9720 0.2788 0.2670
Mn1 0.1418 0.3766 0.8458
Mn2 0.3582 0.3766 0.3458
Mn3 0.6418 0.6234 0.6542
Mn4 0.8582 0.6234 0.1542
P1 0.4775 0.0884 0.7036
P2 0.6918 0.2359 0.0558
P3 0.0225 0.0884 0.2036
P4 0.1918 0.7641 0.4442
P5 0.5225 0.9116 0.2964
P6 0.8082 0.2359 0.5558
P7 0.9775 0.9116 0.7964
P8 0.3082 0.7641 0.9442



Run x
Computed, not measured: a relaxed structure of LiMnP2O7 at the PBE with a Hubbard U level of DFT.

Unit cell a=6.2183 b=7.2869 c=6.2969 alpha=68.96 beta=80.73 gamma=74.43
Fractional positions:
O1 0.3573 0.8631 0.0675
O2 0.2707 0.5350 0.3743
O3 0.3842 0.1692 0.6034
O4 0.7292 0.4650 0.6257
O5 0.0577 0.8656 0.3916
O6 0.6246 0.3290 0.2466
O7 0.0087 0.7538 0.0605
O8 0.9423 0.1345 0.6084
O9 0.2430 0.2746 0.2075
O10 0.9913 0.2462 0.9395
O11 0.3754 0.6710 0.7534
O12 0.7570 0.7255 0.7925
O13 0.6158 0.8307 0.3966
O14 0.6427 0.1368 0.9325
P1 0.8183 0.2400 0.7888
P2 0.3903 0.3067 0.3647
P3 0.1817 0.7600 0.2113
P4 0.6097 0.6933 0.6353
Mn1 0.9430 0.2157 0.2706
Mn2 0.0570 0.7843 0.7294
Li1 0.3333 0.1561 0.9117
Li2 0.6667 0.8438 0.0883



How far above the most stable structure does each one sit? In eV/atom: run w 0.000; run x 0.049.



Run w
Computed, not measured: a relaxed structure of LiMnP2O7 at the PBE with a Hubbard U level of DFT.

Computed properties:
Piezoelectric modulus e_max ... 0.664 C/m2

Unit cell a=5.2514 b=7.0268 c=8.1084 alpha=67.45 beta=91.00 gamma=94.93
Fractional positions:
O1 0.9724 0.0414 0.2337
O2 0.5908 0.0070 0.6871
O3 0.5647 0.5169 0.3264
O4 0.4271 0.4962 0.6829
O5 0.6729 0.8549 0.0179
O6 0.1548 0.3026 0.4757
O7 0.8136 0.7281 0.5191
O8 0.2649 0.3612 0.1574
O9 0.4546 0.0091 0.2968
O10 0.1327 0.6587 0.2163
O11 0.0522 0.9584 0.7951
O12 0.7528 0.6458 0.8437
O13 0.3035 0.1396 0.9819
O14 0.8708 0.3621 0.7556
P1 0.2524 0.1241 0.1735
P2 0.2775 0.4667 0.3036
P3 0.7170 0.5464 0.6936
P4 0.7654 0.8823 0.8293
Li1 0.7291 0.0583 0.4441
Li2 0.2942 0.8494 0.9897
Mn1 0.2116 0.2465 0.7306
Mn2 0.7743 0.7768 0.2679



Run x
Computed, not measured: a relaxed structure of LiMnP2O7 at the PBE with a Hubbard U level of DFT.

Unit cell a=9.7002 b=9.7432 c=11.1862 alpha=78.98 beta=89.51 gamma=89.55
Fractional positions:
P1 0.7090 0.8836 0.8860
P2 0.7918 0.3878 0.8889
P3 0.5611 0.0337 0.2390
P4 0.9303 0.9349 0.2425
P5 0.3403 0.3680 0.4180
P6 0.6422 0.6227 0.5718
P7 0.4452 0.9719 0.7535
P8 0.4261 0.5662 0.7590
P9 0.5692 0.4335 0.2421
P10 0.0772 0.0693 0.7578
P11 0.2124 0.6200 0.1170
P12 0.0544 0.4740 0.7557
P13 0.8554 0.1221 0.5783
P14 0.2880 0.1094 0.1159
P15 0.9403 0.5336 0.2425
P16 0.1547 0.8696 0.4213
O1 0.5909 0.8955 0.7846
O2 0.5594 0.8860 0.2027
O3 0.4201 0.4151 0.7303
O4 0.8494 0.9641 0.5757
O5 0.3417 0.8903 0.8432
O6 0.5610 0.7045 0.4649
O7 0.7857 0.6785 0.5865
O8 0.2005 0.3048 0.3994
O9 0.0662 0.7746 0.5194
O10 0.6720 0.3127 0.8407
O11 0.8371 0.6202 0.1533
O12 0.0879 0.9215 0.7309
O13 0.8585 0.2823 0.0013
O14 0.5792 0.5826 0.2712
O15 0.3478 0.2172 0.0029
O16 0.6487 0.4632 0.5703
O17 0.5635 0.6371 0.6966
O18 0.4080 0.0983 0.2170
O19 0.9323 0.2033 0.4686